Internal or External?

Pondering. Resting. Sleeping. Reading. Considering others. Caring for myself. All of these things seem to be the rhythm of my Lenten days. An internal air continues to hover around me and as I just responded to a lovely post at Barefoot Toward the Light, I realize this quiet space feels just right for now. Different for me, but somehow just right.
It has been a simple weekend filled with walks and lots of rest. I've taken care of the few "have to's" on my list and spent the rest of the time tending to relationship - sometimes with my family, often with God, always with me. It feels necessary and good.
In the midst of the internal space, I also received two very outward reminders of my presence in the world which were delightful indeed. Yesterday, I received my very own copy of Awakening the Creative Spirit - a fantastic new book by Christine Paintner and Betsey Beckman, two of my dear friends and colleagues. I highly recommend it for anyone interested in the arts and becoming "fully awake" as today's Lenten verse* highlights. The exciting news for me is that I am the co-writer of Chapter 15 on "Arts-Centered Supervision". You can only imagine my delight to see my authorship officially acknowledged on page 197 (as well as a few other places throughout the book!)
The other 'outward reminder' can be found in visual form where you catch a glimpse of me as spiritual director in this PBS episode on religion. I show up around minute two with my most compassionate face and listening ears. Don't blink or you'll miss my adult TV debut! Seriously, it's a great video covering the topic of spiritual direction. I hope you'll go take a peak!!
OK, that's all I have to share for now. Time to huddle back up with hot tea and my Kindle!
P.S. I'd love to know how your Lenten season is progressing.
_Attached: materials data_
-- begin --
(1)
6
Lattice="-1.496 5.068 -3.111 -2.152 -0.440 -5.725 -5.888 1.255 -1.167" Properties=species:S:1:pos:R:3 comment="Y4ZrZn (SCAN, single point on PBEsol structure)" e_form_ev_per_fu=3.08 sg=F-43m magnetic_moment_mub_per_fu=2.0 dft_energy_ev_per_atom=-25.42 pbc="T T T"
Y -3.572 2.203 -3.747
Y -6.526 2.833 -4.333
Y -4.322 4.746 -5.308
Y -4.651 1.983 -6.620
Zn -7.152 4.412 -7.503
Zr 0.000 0.000 0.000

=====

(2)
5
Lattice="-2.348 -1.777 2.557 -0.005 -3.200 -2.229 3.114 -1.345 1.925" Properties=species:S:1:pos:R:3 comment="HfMn3O (SCAN, single point on PBEsol structure)" sg=Pm-3m magnetic_moment_mub_per_fu=7.3 dft_energy_ev_per_atom=-25.31 pbc="T T T"
Mn -0.002 -1.600 -1.114
Mn 1.557 -0.672 0.962
Mn -1.174 -0.889 1.278
Hf 0.381 -3.161 1.126
O 0.000 0.000 0.000

=====

(3)
3
Lattice="-1.417 0.629 3.055 -3.021 -1.110 -1.172 3.365 -4.462 0.559" Properties=species:S:1:pos:R:3 comment="Sc2Se (SCAN, single point on PBEsol structure)" sg=I4/mmm magnetic_moment_mub_per_fu=0.0 dft_energy_ev_per_atom=-17.17 pbc="T T T"
Sc 0.792 -3.252 1.037
Sc -1.866 -1.691 1.404
Se 0.000 0.000 0.000

=====

(4)
4
Lattice="-2.608 -0.963 0.214 1.800 -2.121 0.188 0.318 1.021 8.464" Properties=species:S:1:pos:R:3 comment="MgMo2P (SCAN, single point on PBEsol structure)" e_form_ev_per_fu=0.60 sg=Cmm2 magnetic_moment_mub_per_fu=0.0 dft_energy_ev_per_atom=-21.14 pbc="T T T"
Mg -0.323 -1.281 2.368
Mo 0.314 1.008 8.349
Mo -0.169 -0.788 6.450
P 0.165 0.530 4.395

=====

(5)
5
Lattice="-0.539 2.582 -4.230 -2.589 -3.775 -1.975 -4.226 1.983 1.749" Properties=species:S:1:pos:R:3 comment="SbS3I (SCAN, single point on PBEsol structure)" sg=Pm-3m magnetic_moment_mub_per_fu=0.0 dft_energy_ev_per_atom=-19.93 pbc="T T T"
I -3.677 0.395 -2.228
Sb 0.000 0.000 0.000
S -1.294 -1.887 -0.987
S -2.113 0.991 0.875
S -0.270 1.291 -2.115

=====

(6)
4
Lattice="-1.573 2.499 0.873 -2.468 -0.897 -1.877 -2.795 -3.654 5.422" Properties=species:S:1:pos:R:3 comment="Sc2BeW (SCAN, single point on PBEsol structure)" e_form_ev_per_fu=0.77 sg=Pmm2 magnetic_moment_mub_per_fu=0.0 dft_energy_ev_per_atom=-25.44 pbc="T T T"
Sc -2.603 -3.402 5.048
Sc -2.882 -0.325 1.169
Be -3.977 -1.757 3.294
W -1.568 -2.049 3.040

=====

(7)
5
Lattice="4.155 0.000 0.000 0.000 4.155 0.000 0.000 0.000 4.837" Properties=species:S:1:pos:R:3 comment="TaBe2IrF (SCAN, single point on PBEsol structure)" sg=P4/mmm magnetic_moment_mub_per_fu=0.0 dft_energy_ev_per_atom=-29.79 pbc="T T T"
Be 0.000 2.078 0.000
Be 2.078 0.000 0.000
F 2.078 2.078 2.419
Ir 0.000 0.000 0.000
Ta 0.000 0.000 2.419

=====

(8)
5
Lattice="-2.696 -3.032 -0.743 2.397 -1.382 -3.059 3.491 -1.854 6.353" Properties=species:S:1:pos:R:3 comment="NaTc2Te2 (SCAN, single point on PBEsol structure)" sg=I4/mmm magnetic_moment_mub_per_fu=0.0 dft_energy_ev_per_atom=-29.83 pbc="T T T"
Na 0.000 0.000 0.000
Te 2.442 -2.968 3.254
Te 0.750 -3.300 -0.703
Tc 2.869 -2.722 0.697
Tc 0.323 -3.547 1.855

=====

(9)
18
-- stop --
_Back to the article_
*Luke 9:28-36
Shilshole Sailboats - 2.20.10 © lucy

Reader Comments (11)
How exciting!! Congratulations!:)
Yay, yay, yah - I am so thrilled for you. THe video version doesn't seem to want to work right this minute for me but that does not curb my congratulations!!!!
woohoo on your TV debut
congrats on the chapter co-write too
I have finally managed to order a copy of this book - Amazon UK didn't have one before now and I was getting snippy! It will be doubly precious to me now I know you co-wrote that chapter.
What a nice glimpse of your face, and I loved the video. It always moves me when I see this sort of interfaith interaction - for example between the Rabbi and the Sufi Sheikh - I always ask myself why there's such discord.
Enjoy your quiet.
Lucy, great to see you with your colleagues in the video, and so many older people doing spiritual direction, a way to put all that life experience into giving.
When I was in my 40's I had some years of activist spiritual direction, in which my director (in her '60's) asked me to accompany her to various events, encompassing a wide range of situations, including a protest against nuclear armaments where we were both arrested and jailed. But also sacred music concerts, a one-woman play on Julian of Norwich, a meeting once a month while we worked in a soup kitchen and lots of other stuff, sometimes just long walks through city streets. I think overall her point was not just to think about it, but to put spiritual direction into practice.
thank you all for your uproarious support!!
tess - yes, i love the interfaith interactions on the video. the site where they filmed that is walking distance from my home :-)
so, glad you didn't blink and saw my face. funny thing, the SDI director apologized for me not making it onto the video. she blinked:-) xoxo
kigen - wow! that was some kind of spiritual direction experience you had. i am all for experiential learning, and that takes it to a whole new level. something to ponder.
And I did manage to get the video rolling this a.m.....and I did not blink so I remain still impressed by my celebrity relationship!:)
Someone pasted data records at this point
=====
5
Lattice="-0.646 -2.507 -3.574 4.364 -0.472 -0.458 -0.140 -4.123 2.917" Properties=species:S:1:pos:R:3 comment="CsAlN2F | the Alexandria database | PBE-GGA | optimized geometry" crystal_system=tetragonal raw_formation_energy_ev_per_atom=1.68 polymorph_energy_ev_per_atom=1.9723 n_ef_per_ev_cell=4.15 vol_a3_per_cell=98.43 pbc="T T T"
N 2.182 -0.236 -0.229
N -0.323 -1.253 -1.787
Al 1.789 -3.551 -0.558
F -0.070 -2.062 1.459
Cs 0.000 0.000 0.000



4
Lattice="6.571 0.371 0.997 -2.709 3.522 -0.219 1.153 1.083 2.913" Properties=species:S:1:pos:R:3 comment="BeIn2Ni | the Alexandria database | PBE-GGA | optimized geometry" crystal_system=monoclinic polymorph_energy_ev_per_atom=0.2203 n_ef_per_ev_cell=1.64 vol_a3_per_cell=64.83 ef_ev_per_atom=0.2856 pbc="T T T"
Be 1.931 1.946 0.389
In 0.000 0.000 0.000
In 3.862 0.727 1.955
Ni -0.778 2.302 1.347



4
Lattice="-1.031 -0.565 3.575 3.751 -1.737 0.807 1.529 3.785 1.038" Properties=species:S:1:pos:R:3 comment="CuTePd2 | the Alexandria database | PBE-GGA | optimized geometry" crystal_system=tetragonal raw_formation_energy_ev_per_atom=-0.13 n_ef_per_ev_cell=2.95 vol_a3_per_cell=66.76 pbc="T T T"
Pd 0.764 1.892 0.519
Pd 1.876 -0.868 0.404
Te 2.125 0.742 2.710
Cu -0.515 -0.282 1.787
=====
Lucy, Your weekend sounded just heavenly! I love the gentle rhythm that you are expressing in your blog here. I am pulled in the same direction, but I have been slow in settling down into it. It is finally coming now I think. A slowness and a depth that I am longing for.
I think that you were on screen for a good two seconds so it was much longer than a blink! : )
Don't know when my "Awakening" book will arrive. Betsey emailed a few weeks ago and said that contributors were getting free books and that I was one of them. I just wrote a page or two about my experiences at the retreat two years ago. Maybe the book is on its way. I'm so excited!
Lucy!! Congratulations!! My wife and i DVR'ed this Religion and Ethics episode and watched it last night. When i heard Seattle i just had a feeling that you were part of it. I must have blinked so i didn't catch you...but i did recognize the interfaith church from a picture you posted a while back. I think it was a drumming thingy? My intuition was right. This is very exciting. Hugs to you and hubby.
It is a wilderness of depth, and the type of depth requires solitude, patience, longing, love. It is hard, and it is beautiful.
There are so many things to be excited about in this post...the book, and PBS and all that I'm growing to learn and understand about Spiritual Direction. WOW.
Thank you for a WONDERFUL POST.
-- Unrelated to this article: calculated crystals --
********
# PBE KNaZrTe3, relaxed
# Calculated density (g/cm3): 4.5
# DFT total energy (eV/cell): -104.76
data_KNaZrTe3
_chemical_formula_sum 'K4 Na4 Zr4 Te12'
_cell_length_a 7.665
_cell_length_b 13.095
_cell_length_c 8.281
_cell_angle_alpha 90.00
_cell_angle_beta 106.84
_cell_angle_gamma 90.00
_space_group_name_H-M_alt 'C 1 2/m 1'
_space_group_IT_number 12
_space_group_name_Hall '-C 2y'
loop_
_atom_site_label
_atom_site_fract_x
_atom_site_fract_y
_atom_site_fract_z
K1 0.000 0.154 0.000
Na1 0.000 0.000 0.500
Na2 0.000 0.500 0.000
Zr1 0.000 0.329 0.500
Te1 0.193 0.500 0.712
Te2 0.249 0.178 0.709
********
-- End of the calculated crystals --
Thank you again for your collaboration in this book and for all the ways you partner with me to bring the spirit to life!